Assignment =
Give back the whole of the calculation results further below exactly, please.

Excerpt =
-- begin --
VASP calculation (PBE) on a geometry-optimized MgSi2 structure.

Results
- Uncorrected energy: -47.3 eV for the cell shown
- Formation enthalpy at 0 K: 0.252 eV/atom
- Symmetry: Cm (8)
- Offset from the most stable computed form: 174.7 meV per atom

Cell and atoms, written as CIF:
```
data_MgSi2
_chemical_formula_sum 'Mg4 Si8'
_space_group_name_H-M_alt 'P 1'
_space_group_IT_number 1
_space_group_name_Hall 'P 1'
_cell_length_a 5.1948
_cell_length_b 5.1948
_cell_length_c 12.4190
_cell_angle_alpha 104.45
_cell_angle_beta 104.45
_cell_angle_gamma 39.01
loop_
_atom_site_label
_atom_site_type_symbol
_atom_site_fract_x
_atom_site_fract_y
_atom_site_fract_z
Mg1 Mg 0.0000 0.0000 0.0000
Mg2 Mg 0.0002 0.0002 0.2428
Mg3 Mg 0.3285 0.3285 0.8106
Mg4 Mg 0.9888 0.9888 0.4844
Si1 Si 0.0094 0.0094 0.7284
Si2 Si 0.2863 0.2863 0.0405
Si3 Si 0.2969 0.2969 0.3129
Si4 Si 0.3196 0.3196 0.5889
Si5 Si 0.6462 0.6462 0.6524
Si6 Si 0.6480 0.6480 0.8858
Si7 Si 0.7008 0.7008 0.4380
Si8 Si 0.7016 0.7016 0.1613
```

=====

No. 1
# meta-GGA r2SCAN Hf3N2, optimized geometry
data_Hf3N2
_chemical_formula_sum 'Hf3 N2'
_space_group_name_H-M_alt 'P 1'
_space_group_IT_number 1
_space_group_name_Hall 'P 1'
_cell_length_a 7.972
_cell_length_b 7.972
_cell_length_c 7.972
_cell_angle_alpha 23.15
_cell_angle_beta 23.15
_cell_angle_gamma 23.15
loop_
_atom_site_label
_atom_site_type_symbol
_atom_site_fract_x
_atom_site_fract_y
_atom_site_fract_z
_atom_site_occupancy
Hf1 Hf 0.000 0.000 0.000 1
Hf2 Hf 0.221 0.221 0.221 1
Hf3 Hf 0.779 0.779 0.779 1
N1 N 0.388 0.388 0.388 1
N2 N 0.612 0.612 0.612 1
# **DFT total energy**: -32.426 eV per atom
# **Energy relative to the elements**: -1.6834 eV/atom
# **SG**: R-3m (166)
# **Crystal system**: trigonal


No. 2
# meta-GGA r2SCAN HfN, optimized geometry
data_HfN
_chemical_formula_sum 'Hf1 N1'
_space_group_name_H-M_alt 'P 1'
_space_group_IT_number 1
_space_group_name_Hall 'P 1'
_cell_length_a 3.190
_cell_length_b 3.190
-- stop --

Here it is =
VASP calculation (PBE) on a geometry-optimized MgSi2 structure.

Results
- Uncorrected energy: -47.3 eV for the cell shown
- Formation enthalpy at 0 K: 0.252 eV/atom
- Symmetry: Cm (8)
- Offset from the most stable computed form: 174.7 meV per atom

Cell and atoms, written as CIF:
```
data_MgSi2
_chemical_formula_sum 'Mg4 Si8'
_space_group_name_H-M_alt 'P 1'
_space_group_IT_number 1
_space_group_name_Hall 'P 1'
_cell_length_a 5.1948
_cell_length_b 5.1948
_cell_length_c 12.4190
_cell_angle_alpha 104.45
_cell_angle_beta 104.45
_cell_angle_gamma 39.01
loop_
_atom_site_label
_atom_site_type_symbol
_atom_site_fract_x
_atom_site_fract_y
_atom_site_fract_z
Mg1 Mg 0.0000 0.0000 0.0000
Mg2 Mg 0.0002 0.0002 0.2428
Mg3 Mg 0.3285 0.3285 0.8106
Mg4 Mg 0.9888 0.9888 0.4844
Si1 Si 0.0094 0.0094 0.7284
Si2 Si 0.2863 0.2863 0.0405
Si3 Si 0.2969 0.2969 0.3129
Si4 Si 0.3196 0.3196 0.5889
Si5 Si 0.6462 0.6462 0.6524
Si6 Si 0.6480 0.6480 0.8858
Si7 Si 0.7008 0.7008 0.4380
Si8 Si 0.7016 0.7016 0.1613
```

=====

No. 1
# meta-GGA r2SCAN Hf3N2, optimized geometry
data_Hf3N2
_chemical_formula_sum 'Hf3 N2'
_space_group_name_H-M_alt 'P 1'
_space_group_IT_number 1
_space_group_name_Hall 'P 1'
_cell_length_a 7.972
_cell_length_b 7.972
_cell_length_c 7.972
_cell_angle_alpha 23.15
_cell_angle_beta 23.15
_cell_angle_gamma 23.15
loop_
_atom_site_label
_atom_site_type_symbol
_atom_site_fract_x
_atom_site_fract_y
_atom_site_fract_z
_atom_site_occupancy
Hf1 Hf 0.000 0.000 0.000 1
Hf2 Hf 0.221 0.221 0.221 1
Hf3 Hf 0.779 0.779 0.779 1
N1 N 0.388 0.388 0.388 1
N2 N 0.612 0.612 0.612 1
# **DFT total energy**: -32.426 eV per atom
# **Energy relative to the elements**: -1.6834 eV/atom
# **SG**: R-3m (166)
# **Crystal system**: trigonal


No. 2
# meta-GGA r2SCAN HfN, optimized geometry
data_HfN
_chemical_formula_sum 'Hf1 N1'
_space_group_name_H-M_alt 'P 1'
_space_group_IT_number 1
_space_group_name_Hall 'P 1'
_cell_length_a 3.190
_cell_length_b 3.190